Sunday, October 17, 2010

New Mobile Internet Devices

Hello everyone... the last month has been full of surprises with the newest computing portable devices.

Of course the most obvious and famous one is the iPod Touch 4. It comes with many features of the iPhone 4 making it, how Steve Jobs said it, "an iPhone without a phone". It comes with a "retina display" resolution of 960x60 pixels, a capacitive touch screen, Facetime, HD video camera, front and back cameras, 256MB of RAM, an A4 CPU with speed of 1GHz, and some other things like a gyroscope. Prices are $229 for the 8GB version, $299 for the 32GB version, and $399 for the 64GB version. Or at least those are the official prices, of course you can get them cheaper on Amazon, here's the link: Apple iPod touch 32 GB (4th Generation) It has already been jailbroken with the limera1n and the greenpois0n tools.

# Records of crystals that have nothing to do with the piece
Arrangement 1

PBE with a Hubbard U LiCo3O4, relaxed; total moment = 9.93 μB/f.u.; V = 76 Å³/cell
1.0
3.187 -4.074 0.841
-0.822 -2.102 4.729
-3.206 1.265 -3.947
Co O Li
3 4 1
direct
0.750 0.250 0.500
0.500 0.500 0.000
0.250 0.750 0.500
0.500 0.000 0.500
0.000 0.500 0.500
0.733 0.733 0.000
0.267 0.267 0.000
0.000 0.000 0.000

---

Arrangement 2

PBE with a Hubbard U LiCo3O4, relaxed; total moment = 8.36 μB/f.u.; V = 76 Å³/cell
1.0
-0.655 0.354 5.126
-4.673 -0.201 -2.224
0.029 -2.987 0.210
Co O Li
3 4 1
direct
0.000 0.500 0.000
0.000 0.000 0.500
0.500 0.000 0.000
0.233 0.233 0.000
0.767 0.767 0.000
0.243 0.757 0.500
0.757 0.243 0.500
0.500 0.500 0.500

---

Least stable structure: arrangement 1

---

Arrangement 1

PBE with a Hubbard U LiCoP2O7, relaxed; total moment = 2.00 μB/f.u.; V = 300 Å³/cell
1.0
2.754 7.631 0.000
-2.754 7.631 0.000
0.000 4.036 7.136
O Co P Li
14 2 4 2
direct
0.706 0.097 0.005
0.283 0.330 0.936
0.710 0.085 0.699
0.886 0.322 0.483
0.256 0.948 0.288
0.497 0.502 0.755
0.085 0.710 0.199
0.722 0.655 0.093
0.322 0.886 0.983
0.330 0.283 0.436
0.502 0.497 0.255
0.948 0.256 0.788
0.655 0.722 0.593
0.097 0.706 0.505
0.009 0.988 0.999
0.988 0.009 0.499
0.753 0.461 0.648
0.540 0.246 0.856
0.461 0.753 0.148
0.246 0.540 0.356
0.403 0.047 0.680
0.047 0.403 0.180

---

Arrangement 2

PBE with a Hubbard U LiCoP2O7, relaxed; total moment = 3.00 μB/f.u.; V = 533 Å³/cell
1.0
-2.669 3.272 3.023
-2.497 -6.161 4.463
8.656 -2.551 10.404
O Co P Li
28 4 8 4
direct
0.550 0.517 0.096
0.085 0.477 0.403
0.369 0.774 0.422
0.015 0.157 0.427
0.486 0.838 0.076
0.828 0.696 0.493
0.492 0.014 0.687
0.324 0.312 0.998
0.836 0.773 0.723
0.883 0.226 0.084
0.363 0.685 0.766
0.631 0.774 0.922
0.279 0.272 0.772
0.034 0.986 0.808
0.985 0.157 0.927
0.637 0.685 0.266
0.117 0.226 0.584
0.721 0.272 0.272
0.514 0.838 0.576
0.915 0.477 0.903
0.783 0.281 0.748
0.217 0.281 0.248
0.164 0.773 0.223
0.172 0.696 0.993
0.966 0.986 0.308
0.450 0.517 0.596
0.508 0.014 0.187
0.676 0.312 0.498
0.515 0.269 0.145
0.485 0.269 0.645
0.965 0.730 0.871
0.035 0.730 0.371
0.034 0.303 0.982
0.018 0.179 0.806
0.458 0.699 0.018
0.552 0.820 0.697
0.448 0.820 0.197
0.966 0.303 0.482
0.542 0.699 0.518
0.982 0.179 0.306
0.520 0.419 0.826
0.914 0.973 0.170
0.480 0.419 0.326
0.086 0.973 0.670

---

Arrangement 3

PBE with a Hubbard U LiCoP2O7, relaxed; V = 492 Å³/cell
1.0
8.130 0.000 0.000
0.000 6.751 0.000
0.000 2.939 8.963
O Li P Co
28 4 8 4
direct
0.431 0.851 0.353
0.917 0.070 0.626
0.823 0.061 0.890
0.417 0.930 0.874
0.579 0.482 0.364
0.765 0.522 0.109
0.091 0.615 0.633
0.079 0.518 0.136
0.265 0.478 0.391
0.583 0.070 0.126
0.735 0.522 0.609
0.900 0.768 0.222
0.909 0.385 0.367
0.409 0.615 0.133
0.323 0.939 0.610
0.069 0.851 0.853
0.235 0.478 0.891
0.921 0.482 0.864
0.400 0.232 0.278
0.677 0.061 0.390
0.600 0.768 0.722
0.421 0.518 0.636
0.083 0.930 0.374
0.177 0.939 0.110
0.100 0.232 0.778
0.931 0.149 0.147
0.569 0.149 0.647
0.591 0.385 0.867
0.112 0.197 0.457
0.612 0.803 0.043
0.888 0.803 0.543

The next set of devices were those released by Archos. Archos released the pocketables Archos 28, Archos 32, and Archos 43. All of these devices come with media playback capabilities and internet cabilities. The cheapest one, the Archos 28, is as cheap as $99. The Archos 43 is the perfect competitor for the iPod Touch 4 as it also features an HD video camera, a high resolution resistive touch screen of 854x480, a G-sensor, 256MB of RAM, and a 1GHz CPU. Also, for $199 the 16GB version is even cheaper than the 8GB version iPod Touch. Archos also released some bigger devices for competing with devices like the iPad, those are the Archos 70 and the Archos 101. All of these devices use the Android OS.

The chinese gadgets haven't stayed behind. Smart Devices released the SmartQ V3. It's pretty much the same as the SmartQ V5 but without bluetooth and without Windows CE. Those removals made it possible to come at a great price of $109. It comes with Linux and Android and features an SD memory card reader, an HDMI output, a high resolution resistive touch screen of 800x480, 256 MB of RAM, and a 600 MHz CPU.

As for other iPad competitors, RIM introduced the new Blackberry PlayBook.

I'm pretty sure I'll be getting the iPod Touch now that my first generation broke. But still those cheap prices and good specs of the other devices make me doubt it. What do you think of these devices?

Wednesday, September 15, 2010

¡Viva México!

Today is Mexico's independende bicentenary. We're having a big party here in the country and also with every mexican around the world. Congratulations to all mexicans for their 200th anniversary. We're also celebrating the 100th anniversary of the mexican revolution this year. The main show in Mexico City was amazing and emotional.

Google even made a Google Doodle to commemorate it. It was available (to my surprise) in their international Google site:

Monday, August 2, 2010

A new iPhone jailbreak has arrived, by Comex. It is the first iPhone 4 jailbreak and it works for all iPhones, iPads and iPod Touch on firmwares from 3.1.2 to 4.0.1. It is a very simple to use tool, just visit on your device and you'll see the "Slide to jailbreak" message. Just slide and wait for the device to do its work. At the end you'll have Cydia showing up in your springboard. According to the Dev-Team the iPhone 4 unlock is coming in the next days while the other iPhones can still use ultrasn0w from Cydia. Note, gave problems to MMS and Facetime, it has been fixed now but if you used the jailbreak before it was fixed, be sure to check Cydia and install the updates available and you'll be fine.


Sorry for the late post, I was enjoying my vacations but now it's time to come back to reality, my classes practically start tomorrow. Anyways, many things have happened since my last post. Apple released the iPhone 4, received complaints about the reception when holding the phone, and gave away free cases to make those consumers happier; Spain won the FIFA World Cup in a violent match against the Netherlands; Google stopped selling the Nexus One (too bad, I was planning on getting one); Mexico was first in the medal table of the 2010 Central American and Caribbean Games; and the OpenPandora project has grown a lot with many units already sent and more to come and with some great apps and emulators. That's all that I can remember for now, condensed in a quick summary. Thanks for reading.

Friday, June 11, 2010

FIFA World Cup

Today the FIFA World Cup started in South Africa. The biggest soccer tournament started this year with a nice opening followed by two matches, both which ended in a tie. South Africa and Mexico finished with 1 goal each while France vs Uruguay stayed with no goals. This will be an exciting event which will last a month when the final takes place. Of course I am cheering for Mexico as I live and was born there so ¡Vamos Méxicoo! Which team are you cheering for?

_Calculated crystals, as found in the file_
/*
Record 1
Entry from the Materials Project: a geometry-optimized GaGePS2O12 structure (PBE).

a = 8.3871 Å, b = 8.3973 Å, c = 21.7799 Å
α = 89.85°, β = 90.00°, γ = 119.96°
With the nearest neighbours (Å) after each atom.
Sites, in units of the cell vectors:
Ga (0.0008, 0.0001, 0.3544)  6 O 1.87-1.98
Ga (0.9994, 0.0001, 0.8544)  6 O 1.87-1.98
Ga (0.6798, 0.3421, 0.6882)  6 O 1.84-2.03
Ga (0.6623, 0.3421, 0.1882)  6 O 1.84-2.03
Ga (0.3286, 0.6528, 0.0210)  6 O 1.85-2.02
Ga (0.3242, 0.6528, 0.5210)  6 O 1.85-2.02
Ge (0.0012, 0.0008, 0.6464)  6 O 1.84-1.97
Ge (0.9997, 0.0008, 0.1464)  6 O 1.84-1.97
Ge (0.6649, 0.3316, 0.9800)  6 O 1.84-1.96
Ge (0.6667, 0.3316, 0.4800)  6 O 1.84-1.96
Ge (0.3447, 0.6613, 0.3131)  6 O 1.82-2.01
Ge (0.3166, 0.6613, 0.8131)  6 O 1.82-2.01
P (0.7149, 0.7149, 0.2508)  4 O 1.51-1.58
P (0.0000, 0.7149, 0.7508)  4 O 1.51-1.58
P (0.9543, 0.3301, 0.5838)  4 O 1.51-1.58
P (0.3758, 0.3301, 0.0838)  4 O 1.51-1.58
P (0.0393, 0.3735, 0.9176)  4 O 1.51-1.58
P (0.3343, 0.3735, 0.4176)  4 O 1.51-1.58
S (0.2907, 0.9965, 0.2510)  4 O 1.46-1.51
S (0.9997, 0.2919, 0.2503)  4 O 1.46-1.51
S (0.2922, 0.2919, 0.7503)  4 O 1.46-1.51
S (0.7058, 0.9965, 0.7510)  4 O 1.46-1.51
S (0.3767, 0.0428, 0.5842)  4 O 1.45-1.51
S (0.6677, 0.6248, 0.5838)  4 O 1.46-1.50
S (0.9571, 0.6248, 0.0838)  4 O 1.46-1.50
S (0.6660, 0.0428, 0.0842)  4 O 1.45-1.51
S (0.6214, 0.6659, 0.9166)  4 O 1.45-1.50
S (0.3349, 0.9565, 0.9178)  4 O 1.45-1.51
S (0.6216, 0.9565, 0.4178)  4 O 1.45-1.51
S (0.0445, 0.6659, 0.4166)  4 O 1.45-1.50
O (0.2121, 0.0345, 0.3050)  1 S 1.46
O (0.8324, 0.8003, 0.3073)  1 P 1.52
O (0.9659, 0.1786, 0.3050)  1 S 1.46
O (0.2127, 0.1786, 0.8050)  1 S 1.46
O (0.9678, 0.8003, 0.8073)  1 P 1.52
O (0.8224, 0.0345, 0.8050)  1 S 1.46
O (0.7845, 0.9582, 0.6945)  1 S 1.51
O (0.1725, 0.2157, 0.6942)  1 S 1.51
O (0.0413, 0.8387, 0.6916)  1 P 1.58
O (0.7975, 0.8387, 0.1916)  1 P 1.58
O (0.0432, 0.2157, 0.1942)  1 S 1.51
O (0.1737, 0.9582, 0.1945)  1 S 1.51
O (0.8697, 0.3644, 0.6399)  1 P 1.51
O (0.4893, 0.1247, 0.6390)  1 S 1.46
O (0.6289, 0.5081, 0.6382)  1 S 1.47
O (0.8792, 0.5081, 0.1382)  1 S 1.47
O (0.6353, 0.1247, 0.1390)  1 S 1.46
O (0.4947, 0.3644, 0.1399)  1 P 1.51
O (0.4599, 0.2898, 0.0249)  1 P 1.58
O (0.8392, 0.5469, 0.0277)  1 S 1.50
O (0.7085, 0.1617, 0.0277)  1 S 1.51
O (0.4532, 0.1617, 0.5277)  1 S 1.51
O (0.7077, 0.5469, 0.5277)  1 S 1.50
O (0.8299, 0.2898, 0.5249)  1 P 1.58
O (0.5436, 0.7028, 0.9715)  1 S 1.47
O (0.1599, 0.4590, 0.9733)  1 P 1.51
O (0.3034, 0.8428, 0.9726)  1 S 1.46
O (0.5395, 0.8428, 0.4726)  1 S 1.46
O (0.2991, 0.4590, 0.4733)  1 P 1.51
O (0.1592, 0.7028, 0.4715)  1 S 1.47
O (0.1240, 0.6280, 0.3603)  1 S 1.50
O (0.5034, 0.8803, 0.3612)  1 S 1.51
O (0.3775, 0.4992, 0.3590)  1 P 1.58
O (0.1217, 0.4992, 0.8590)  1 P 1.58
O (0.3770, 0.8803, 0.8612)  1 S 1.51
O (0.5040, 0.6280, 0.8603)  1 S 1.50
O (0.0237, 0.8267, 0.4091)  1 S 1.45
O (0.8022, 0.9752, 0.4097)  1 S 1.45
O (0.1668, 0.1872, 0.4067)  1 P 1.51
*/

Tuesday, June 8, 2010

iPhone 4

Yesterday Apple unveiled their latest iPhone, the iPhone 4 at the World Wide Developers Conference 2010 (WWDC 2010). It turned out to be really as the prototypes leaked some weeks ago.

Its slogan is “This phone changes everything. Again.” I agree with what they say about this being a big leap over the last iPhone but it isn't anything so outstanding as it just introduces features which some other phones such as some which the Google Nexus One already had. Apple is just reaching out for the current specs possible. Read on to see the unique features of this iPhone compared to other iDevices.


FaceTime is video calling. You can video call someone from the address book or when already in a normal call with a contact. You can use the front or the back camera in FaceTime and you can easily change between them.

Retina Display

Apple did a big upgrade in regards to their screen resolution.The resolution of the iPhone 4 is 960x460 in the same space used for the 420x320 screen of older models. This means it now has 326 ppi instead of 163 ppi making it clearer and more readable. According to Apple, the iPhone 4 has the sharpest, most vibrant, and highest screen resolution in the smartphone market. I think this is true as the Google Nexus One has a screen of 800x480 and 252 ppi and it was the best display I had heard of for a smartphone.

HD Video Recording and 5 Megapixel Photo Camera

You can now shoot HD video up to 720p and even edit it with the upcoming iMovie app which will be available for $4.99 USD. You can share that video then. Also the 5 megapixel back camera lets you take clear pictures and the front facing VGA camera lets you take self portraits without messing the photo. The back camera has a LED Flash for taking pictures in the dark.

iPhone 4 Release Date
The iPhone 4 will be released on June 24. Pre-orders for iPhone 4 start on April 15. iPhone 4 will be available in 16 GB ($199 with 2-year contract) and 32 GB ($299 with 2-year contract).*

*Prices for the US in USD.

Friday, May 21, 2010

Pac-Man Google Doodle

Tomorrow is Pac-Man's 30th anniversary and Google has decided to celebrate it with a playable logo on their main page. Google doodles are event and holiday specific logos that Google sometimes use in their homepage. This time they have gone further by not just making an image logo. They've made it playable. Below you can see the logo:

You can actually play with this logo as an actual Pac-Man game which includes 255 levels and it even includes a 256th level "kill screen" just like the original coin-op. To control the Pac-Man use the arrow keys.

These crystal structures were left in the piece by mistake:
........
Density functional theory data (meta-GGA r2SCAN) for an optimized crystal structure of SnPO4F.

Properties
Total magnetic moment ... 0.00 μB/f.u.
Volume ... 12.9 Å³ per atom
Calculated formation energy ... -2.304 eV/atom
Space group ... Pnma (62)

```
SnPO4F
1.0
7.7349 0.0000 0.0000
0.0000 6.4003 0.0000
0.0000 0.0000 7.2897
Sn P O F
4 4 16 4
direct
0.1277 0.2500 0.2459 Sn
0.3723 0.7500 0.7459 Sn
0.6277 0.2500 0.2541 Sn
0.8723 0.7500 0.7541 Sn
0.1281 0.7500 0.1265 P
0.3719 0.2500 0.6265 P
0.6281 0.7500 0.3735 P
0.8719 0.2500 0.8735 P
0.0388 0.2500 0.9872 O
0.1309 0.5609 0.2539 O
0.1309 0.9391 0.2539 O
0.2116 0.2500 0.5046 O
0.2884 0.7500 0.0046 O
0.3691 0.0609 0.7539 O
0.3691 0.4391 0.7539 O
0.4612 0.7500 0.4872 O
0.5388 0.2500 0.5128 O
0.6309 0.5609 0.2461 O
0.6309 0.9391 0.2461 O
0.7116 0.2500 0.9954 O
0.7884 0.7500 0.4954 O
0.8691 0.0609 0.7461 O
0.8691 0.4391 0.7461 O
0.9612 0.7500 0.0128 O
0.1205 0.7500 0.6531 F
0.3795 0.2500 0.1531 F
0.6205 0.7500 0.8469 F
0.8795 0.2500 0.3469 F
```

---

Density functional theory data (meta-GGA r2SCAN) for an optimized crystal structure of Na2Nb3O6.

Properties
Total magnetic moment ... 0.21 μB/f.u.
Volume ... 12.1 Å³ per atom
Calculated formation energy ... -2.479 eV/atom
Space group ... P-31c (163)

```
Na2Nb3O6
1.0
5.1516 0.0000 0.0000
-2.5758 4.4614 0.0000
0.0000 0.0000 23.2263
Na Nb O
8 12 24
direct
0.0000 0.0000 0.2500 Na
0.0000 0.0000 0.7500 Na
0.3333 0.6667 0.0002 Na
0.3333 0.6667 0.2500 Na
0.3333 0.6667 0.4998 Na
0.6667 0.3333 0.9998 Na
0.6667 0.3333 0.5002 Na
0.6667 0.3333 0.7500 Na
0.0081 0.3334 0.6250 Nb
0.0081 0.6748 0.8750 Nb
0.3252 0.3334 0.8750 Nb
0.3252 0.9919 0.6250 Nb
0.3334 0.0081 0.1250 Nb
0.3334 0.3252 0.3750 Nb
0.6666 0.6748 0.6250 Nb
0.6666 0.9919 0.8750 Nb
0.6748 0.0081 0.3750 Nb
0.6748 0.6666 0.1250 Nb
0.9919 0.3252 0.1250 Nb
0.9919 0.6666 0.3750 Nb
0.0034 0.3409 0.4293 O
0.0034 0.6625 0.0707 O
0.0075 0.3367 0.3207 O
0.0075 0.6708 0.1793 O
0.3292 0.3367 0.1793 O
0.3292 0.9925 0.3207 O
0.3367 0.0075 0.8207 O
0.3367 0.3292 0.6793 O
0.3375 0.3409 0.0707 O
0.3375 0.9966 0.4293 O
0.3409 0.0034 0.9293 O
0.3409 0.3375 0.5707 O
0.6591 0.6625 0.4293 O
0.6591 0.9966 0.0707 O
0.6625 0.0034 0.5707 O
0.6625 0.6591 0.9293 O
0.6633 0.6708 0.3207 O
0.6633 0.9925 0.1793 O
0.6708 0.0075 0.6793 O
0.6708 0.6633 0.8207 O
0.9925 0.3292 0.8207 O
0.9925 0.6633 0.6793 O
0.9966 0.3375 0.9293 O
0.9966 0.6591 0.5707 O
```

---

Density functional theory data (meta-GGA r2SCAN) for an optimized crystal structure of DySbRh.

Properties
Total magnetic moment ... 0.00 μB/f.u.
Volume ... 21.1 Å³ per atom
Calculated formation energy ... -1.116 eV/atom
Space group ... Pnma (62)

```
DySbRh
1.0
7.1488 0.0000 0.0000
0.0000 4.5429 0.0000
0.0000 0.0000 7.7912
Dy Sb Rh
4 4 4
direct
0.0100 0.2500 0.2021 Dy
0.4900 0.7500 0.7021 Dy
0.5100 0.2500 0.2979 Dy
0.9900 0.7500 0.7979 Dy
0.1942 0.2500 0.5913 Sb
0.3058 0.7500 0.0913 Sb
0.6942 0.2500 0.9087 Sb
0.8058 0.7500 0.4087 Sb
0.1955 0.7500 0.4186 Rh
0.3045 0.2500 0.9186 Rh
........
The piece goes on:

I have to say this has been my favorite Google doodle so far, it looks creative and best of it, it's fun. I have played with it for a while and I've become addicted. You guys should try it out.

If you like Pac-Man you can still enjoy it in newer consoles or portables like the iPhone from its App Store or with NDS's Namco Museum or Pac Man World 3.

EDIT: Hey guys, i just found out an interesting thing you can do. You can play with 2-player mode. Instead of the "I'm feeling lucky" button you'll usually find in Google's main page, there's now an "Insert coin" button. If you click it while already playing, "Ms. Pac-Man" will appear as a second player. Ms. Pac-Man is controlled with the "WASD" keys.